Source =
********
[1]
ORCA calculation (ωB97M-V/def2-TZVPD) on 7 unconnected molecules or ions with the total composition C31H61N3O8 at a distorted geometry.

XYZ file:
```
103
Properties=species:S:1:pos:R:3:forces:R:3
N -3.766081 -3.459645 2.736002 -0.92 -0.38 0.13
C -2.672010 -3.195690 2.556474 0.41 0.43 0.08
C -1.277500 -2.808779 2.394852 0.45 -0.22 0.13
O -0.723641 -3.333985 1.206806 -0.22 0.07 -0.06
C -1.067227 -1.278407 2.488185 -0.15 0.33 -0.48
C 0.203189 -0.976203 1.840894 -0.55 -0.47 0.41
N 1.169144 -0.759135 1.281465 1.11 0.49 -0.51
C -2.123435 -0.393429 1.791762 0.38 0.30 0.23
C -3.418841 -0.203467 2.561000 -0.27 -0.33 -0.03
C -4.634948 -0.588200 1.749637 -0.51 0.37 -0.63
O -4.560747 -1.064755 0.640986 0.01 -0.13 0.15
N -5.870623 -0.288023 2.341172 0.47 -1.00 0.39
C -6.848049 -1.348811 2.246099 -0.24 0.20 0.10
C -7.075074 -2.179388 3.336506 -0.25 0.08 -0.43
C -8.022923 -3.186671 3.227553 0.09 0.01 0.18
C -8.728421 -3.389292 2.050780 0.03 0.16 -0.15
C -8.500561 -2.557294 0.961717 0.39 0.21 0.38
C -7.568238 -1.535698 1.079711 0.19 0.16 -0.24
H -0.752971 -3.260925 3.236525 0.18 -0.05 0.09
H -1.403212 -3.800013 0.709311 0.02 0.03 -0.08
H -0.948189 -0.972696 3.523296 -0.21 -0.11 0.31
H -1.659905 0.579683 1.669664 0.11 0.16 -0.12
H -2.295543 -0.772352 0.789467 -0.22 -0.13 -0.09
H -3.445288 -0.829119 3.452461 -0.03 0.01 0.18
H -3.567264 0.820153 2.896313 0.15 0.18 0.09
H -5.763983 -0.007448 3.310065 -0.03 0.20 -0.06
H -6.515506 -2.044675 4.246883 0.11 0.00 0.20
H -8.191666 -3.822230 4.083151 -0.08 -0.14 0.04
H -9.451392 -4.185132 1.982637 -0.11 -0.13 0.02
H -9.018842 -2.669334 0.024389 -0.19 -0.15 -0.07
H -7.353964 -0.872306 0.257480 -0.09 0.05 -0.19
C -6.294615 -0.813366 -2.797563 -0.11 -0.06 0.05
C -7.037815 0.102542 -3.756920 0.31 0.13 0.19
C -6.089008 1.046911 -4.479705 -0.09 0.05 -0.10
O -8.037204 0.845294 -3.057246 -0.13 -0.09 -0.11
H -5.784582 -0.230887 -2.025078 0.07 0.01 -0.04
H -6.991432 -1.482293 -2.291263 0.00 -0.03 -0.04
H -5.550058 -1.417160 -3.318176 0.01 0.01 0.01
H -7.577956 -0.498148 -4.489624 -0.11 0.03 0.02
H -5.571397 1.689034 -3.761706 0.05 -0.06 0.03
H -6.639806 1.694818 -5.162138 -0.01 -0.03 -0.01
H -5.339517 0.496422 -5.050027 0.01 0.00 0.02
H -7.589521 1.387905 -2.399651 0.01 0.01 0.02
C 5.513144 -0.390702 -1.278668 0.05 0.00 -0.16
C 5.472887 -1.670255 -0.467930 0.00 0.42 0.26
C 4.725334 -1.438934 0.835377 -0.01 -0.23 0.10
O 6.804080 -2.134234 -0.199716 0.03 -0.09 -0.17
H 6.029783 0.390916 -0.719151 -0.04 0.04 0.02
H 6.055521 -0.525216 -2.213538 -0.07 -0.02 -0.04
H 4.504957 -0.043644 -1.510820 0.01 0.00 -0.04
H 4.988700 -2.459002 -1.045237 0.10 -0.11 0.04
H 5.244299 -0.685319 1.436376 0.01 0.06 -0.06
H 4.679814 -2.353812 1.428165 -0.03 -0.01 -0.03
H 3.709429 -1.087651 0.654607 -0.01 -0.03 0.01
H 7.237956 -1.447432 0.320314 -0.03 0.01 0.05
C 10.823252 0.212159 -1.950452 -0.04 0.08 -0.09
C 9.904395 0.592598 -0.799382 0.11 -0.32 -0.04
C 10.231102 -0.192347 0.462553 -0.09 0.04 0.07
O 8.539627 0.389335 -1.165799 0.11 0.08 0.01
H 10.707182 -0.847179 -2.195499 0.03 -0.03 0.07
H 10.574038 0.785923 -2.843805 0.01 0.04 0.03
H 11.869370 0.394556 -1.700908 0.00 -0.02 0.00
H 9.999471 1.660162 -0.597633 -0.09 0.04 -0.02
H 10.096463 -1.264059 0.289891 0.06 -0.01 -0.05
H 9.563965 0.096996 1.276055 0.02 0.05 -0.01
H 11.260230 -0.022666 0.781532 0.00 -0.02 0.00
H 8.424836 -0.552398 -1.351115 -0.11 -0.01 0.00
C 6.112336 -1.479988 -5.157828 -0.12 0.00 0.07
C 6.043078 -0.030316 -5.616387 0.37 -0.16 0.03
C 7.033373 0.248703 -6.737375 -0.05 0.12 -0.05
O 6.275626 0.849164 -4.518542 -0.16 0.05 -0.08
H 7.107474 -1.708303 -4.765240 0.04 0.00 -0.06
H 5.394796 -1.663017 -4.357416 -0.03 0.01 -0.03
H 5.901010 -2.166990 -5.978739 0.02 0.00 0.00
H 5.032783 0.192329 -5.961638 -0.03 0.07 0.06
H 8.056348 0.072560 -6.393294 -0.01 -0.08 0.01
H 6.968476 1.289928 -7.053933 -0.04 -0.01 0.00
H 6.846583 -0.390935 -7.601426 0.01 -0.01 0.01
H 7.163463 0.680251 -4.183191 0.01 0.03 0.06
C -8.337212 2.077503 2.461901 -0.03 -0.14 0.08
********

Brief =
Next, restate all of the lines earlier on word for word.

Written answer =
[1]
ORCA calculation (ωB97M-V/def2-TZVPD) on 7 unconnected molecules or ions with the total composition C31H61N3O8 at a distorted geometry.

XYZ file:
```
103
Properties=species:S:1:pos:R:3:forces:R:3
N -3.766081 -3.459645 2.736002 -0.92 -0.38 0.13
C -2.672010 -3.195690 2.556474 0.41 0.43 0.08
C -1.277500 -2.808779 2.394852 0.45 -0.22 0.13
O -0.723641 -3.333985 1.206806 -0.22 0.07 -0.06
C -1.067227 -1.278407 2.488185 -0.15 0.33 -0.48
C 0.203189 -0.976203 1.840894 -0.55 -0.47 0.41
N 1.169144 -0.759135 1.281465 1.11 0.49 -0.51
C -2.123435 -0.393429 1.791762 0.38 0.30 0.23
C -3.418841 -0.203467 2.561000 -0.27 -0.33 -0.03
C -4.634948 -0.588200 1.749637 -0.51 0.37 -0.63
O -4.560747 -1.064755 0.640986 0.01 -0.13 0.15
N -5.870623 -0.288023 2.341172 0.47 -1.00 0.39
C -6.848049 -1.348811 2.246099 -0.24 0.20 0.10
C -7.075074 -2.179388 3.336506 -0.25 0.08 -0.43
C -8.022923 -3.186671 3.227553 0.09 0.01 0.18
C -8.728421 -3.389292 2.050780 0.03 0.16 -0.15
C -8.500561 -2.557294 0.961717 0.39 0.21 0.38
C -7.568238 -1.535698 1.079711 0.19 0.16 -0.24
H -0.752971 -3.260925 3.236525 0.18 -0.05 0.09
H -1.403212 -3.800013 0.709311 0.02 0.03 -0.08
H -0.948189 -0.972696 3.523296 -0.21 -0.11 0.31
H -1.659905 0.579683 1.669664 0.11 0.16 -0.12
H -2.295543 -0.772352 0.789467 -0.22 -0.13 -0.09
H -3.445288 -0.829119 3.452461 -0.03 0.01 0.18
H -3.567264 0.820153 2.896313 0.15 0.18 0.09
H -5.763983 -0.007448 3.310065 -0.03 0.20 -0.06
H -6.515506 -2.044675 4.246883 0.11 0.00 0.20
H -8.191666 -3.822230 4.083151 -0.08 -0.14 0.04
H -9.451392 -4.185132 1.982637 -0.11 -0.13 0.02
H -9.018842 -2.669334 0.024389 -0.19 -0.15 -0.07
H -7.353964 -0.872306 0.257480 -0.09 0.05 -0.19
C -6.294615 -0.813366 -2.797563 -0.11 -0.06 0.05
C -7.037815 0.102542 -3.756920 0.31 0.13 0.19
C -6.089008 1.046911 -4.479705 -0.09 0.05 -0.10
O -8.037204 0.845294 -3.057246 -0.13 -0.09 -0.11
H -5.784582 -0.230887 -2.025078 0.07 0.01 -0.04
H -6.991432 -1.482293 -2.291263 0.00 -0.03 -0.04
H -5.550058 -1.417160 -3.318176 0.01 0.01 0.01
H -7.577956 -0.498148 -4.489624 -0.11 0.03 0.02
H -5.571397 1.689034 -3.761706 0.05 -0.06 0.03
H -6.639806 1.694818 -5.162138 -0.01 -0.03 -0.01
H -5.339517 0.496422 -5.050027 0.01 0.00 0.02
H -7.589521 1.387905 -2.399651 0.01 0.01 0.02
C 5.513144 -0.390702 -1.278668 0.05 0.00 -0.16
C 5.472887 -1.670255 -0.467930 0.00 0.42 0.26
C 4.725334 -1.438934 0.835377 -0.01 -0.23 0.10
O 6.804080 -2.134234 -0.199716 0.03 -0.09 -0.17
H 6.029783 0.390916 -0.719151 -0.04 0.04 0.02
H 6.055521 -0.525216 -2.213538 -0.07 -0.02 -0.04
H 4.504957 -0.043644 -1.510820 0.01 0.00 -0.04
H 4.988700 -2.459002 -1.045237 0.10 -0.11 0.04
H 5.244299 -0.685319 1.436376 0.01 0.06 -0.06
H 4.679814 -2.353812 1.428165 -0.03 -0.01 -0.03
H 3.709429 -1.087651 0.654607 -0.01 -0.03 0.01
H 7.237956 -1.447432 0.320314 -0.03 0.01 0.05
C 10.823252 0.212159 -1.950452 -0.04 0.08 -0.09
C 9.904395 0.592598 -0.799382 0.11 -0.32 -0.04
C 10.231102 -0.192347 0.462553 -0.09 0.04 0.07
O 8.539627 0.389335 -1.165799 0.11 0.08 0.01
H 10.707182 -0.847179 -2.195499 0.03 -0.03 0.07
H 10.574038 0.785923 -2.843805 0.01 0.04 0.03
H 11.869370 0.394556 -1.700908 0.00 -0.02 0.00
H 9.999471 1.660162 -0.597633 -0.09 0.04 -0.02
H 10.096463 -1.264059 0.289891 0.06 -0.01 -0.05
H 9.563965 0.096996 1.276055 0.02 0.05 -0.01
H 11.260230 -0.022666 0.781532 0.00 -0.02 0.00
H 8.424836 -0.552398 -1.351115 -0.11 -0.01 0.00
C 6.112336 -1.479988 -5.157828 -0.12 0.00 0.07
C 6.043078 -0.030316 -5.616387 0.37 -0.16 0.03
C 7.033373 0.248703 -6.737375 -0.05 0.12 -0.05
O 6.275626 0.849164 -4.518542 -0.16 0.05 -0.08
H 7.107474 -1.708303 -4.765240 0.04 0.00 -0.06
H 5.394796 -1.663017 -4.357416 -0.03 0.01 -0.03
H 5.901010 -2.166990 -5.978739 0.02 0.00 0.00
H 5.032783 0.192329 -5.961638 -0.03 0.07 0.06
H 8.056348 0.072560 -6.393294 -0.01 -0.08 0.01
H 6.968476 1.289928 -7.053933 -0.04 -0.01 0.00
H 6.846583 -0.390935 -7.601426 0.01 -0.01 0.01
H 7.163463 0.680251 -4.183191 0.01 0.03 0.06
C -8.337212 2.077503 2.461901 -0.03 -0.14 0.08